_Job_
Find the line further down that holds "0.4952 0.0217", then copy that line and all lines after it there.

_Input_
/*
A plane-wave DFT calculation with PBE+U was carried out for crystalline Sr3Ca5Mn8O24 at its relaxed geometry.

## Properties
As for the energy relative to the elements: -2.458 eV/atom.

Structure (POSCAR):
```
Sr3Ca5Mn8O24
1.0
10.7908 0.0000 0.0000
0.0081 10.8923 0.0000
0.0027 0.0022 15.3064
Sr Ca Mn O
12 20 32 96
direct
0.0032 0.4823 0.1245 Sr
0.0043 0.4821 0.6255 Sr
0.2469 0.7348 0.6253 Sr
0.2475 0.7340 0.1247 Sr
0.2532 0.2652 0.3748 Sr
0.4958 0.5179 0.3745 Sr
0.5042 0.4821 0.6255 Sr
0.7468 0.7348 0.6252 Sr
0.7525 0.2660 0.8753 Sr
0.7531 0.2652 0.3747 Sr
0.9957 0.5179 0.3745 Sr
0.9968 0.5177 0.8755 Sr
0.0031 0.9796 0.1250 Ca
0.0035 0.9800 0.6250 Ca
0.2456 0.2271 0.6253 Ca
0.2462 0.2277 0.1247 Ca
0.2541 0.7728 0.3748 Ca
0.2544 0.7733 0.8752 Ca
0.2553 0.2719 0.8751 Ca
0.4945 0.5237 0.8753 Ca
0.4952 0.0217 0.8750 Ca
0.4962 0.0202 0.3750 Ca
0.5038 0.9798 0.6250 Ca
0.5048 0.9783 0.1250 Ca
0.5055 0.4763 0.1247 Ca
0.7447 0.7281 0.1249 Ca
0.7456 0.2267 0.1248 Ca
0.7459 0.2272 0.6252 Ca
0.7538 0.7723 0.8753 Ca
0.7544 0.7729 0.3747 Ca
0.9965 0.0200 0.3750 Ca
0.9969 0.0204 0.8750 Ca
0.0010 0.2471 0.0008 Mn
0.0011 0.2470 0.7494 Mn
0.0008 0.7528 0.4984 Mn
0.0009 0.7528 0.7518 Mn
0.2503 0.9998 0.2496 Mn
0.2501 0.0001 0.5002 Mn
0.2498 0.0014 0.9994 Mn
0.2496 0.0016 0.7510 Mn
0.2501 0.4999 0.5000 Mn
0.2512 0.4994 0.7514 Mn
0.2516 0.5003 0.2492 Mn
0.2531 0.4997 0.9994 Mn
0.4985 0.2489 0.7503 Mn
0.4985 0.2496 0.0002 Mn
0.4990 0.2474 0.5018 Mn
0.4989 0.2480 0.2477 Mn
0.5011 0.7520 0.7523 Mn
0.5010 0.7526 0.4982 Mn
0.5015 0.7504 0.9998 Mn
0.5015 0.7511 0.2497 Mn
0.7469 0.5003 0.0006 Mn
0.7484 0.4997 0.7508 Mn
0.7488 0.5006 0.2486 Mn
0.7499 0.9999 0.4998 Mn
0.7497 0.0002 0.7504 Mn
0.7499 0.5001 0.5000 Mn
0.7504 0.9984 0.2490 Mn
0.7502 0.9986 0.0006 Mn
0.9991 0.2472 0.2482 Mn
0.9992 0.2472 0.5016 Mn
0.9989 0.7530 0.2506 Mn
0.9990 0.7529 0.9992 Mn
0.0272 0.2391 0.3750 O
0.0370 0.2394 0.8750 O
0.0382 0.7483 0.8753 O
0.0380 0.7485 0.3747 O
0.1047 0.1042 0.0206 O
0.1047 0.1042 0.7294 O
0.1054 0.1051 0.2301 O
0.1055 0.1051 0.5199 O
0.1078 0.6092 0.2346 O
0.1076 0.6091 0.5143 O
0.1084 0.6089 0.7363 O
0.1086 0.6090 0.0147 O
0.1418 0.8604 0.0163 O
0.1417 0.8605 0.2336 O
0.1425 0.8608 0.5156 O
0.1426 0.8608 0.7346 O
0.1446 0.3530 0.5186 O
0.1452 0.3536 0.2310 O
0.1474 0.3516 0.7331 O
0.1480 0.3522 0.0173 O
0.2120 0.9911 0.8752 O
0.2128 0.9928 0.3749 O
0.2208 0.4879 0.8752 O
0.2222 0.4953 0.3748 O
0.2785 0.5036 0.6258 O
0.2883 0.0083 0.1243 O
0.2878 0.0080 0.6257 O
0.2883 0.5037 0.1241 O
0.3523 0.1449 0.7701 O
0.3525 0.1455 0.9804 O
0.3551 0.6475 0.2690 O
0.3564 0.6450 0.9784 O
0.3555 0.6470 0.4815 O
0.3568 0.6445 0.7710 O
0.3576 0.1392 0.4845 O
0.3578 0.1398 0.2649 O
0.3926 0.3909 0.4856 O
0.3944 0.3927 0.2628 O
0.3945 0.8948 0.4802 O
0.3949 0.8951 0.7702 O
0.3963 0.3940 0.7710 O
0.3956 0.8948 0.2695 O
0.3960 0.8951 0.9802 O
0.3982 0.3957 0.9804 O
0.4605 0.2516 0.6262 O
0.4609 0.2591 0.1237 O
0.4706 0.7617 0.1247 O
0.4730 0.7605 0.6253 O
0.5270 0.2395 0.3747 O
0.5294 0.2383 0.8753 O
0.5391 0.7409 0.8763 O
0.5395 0.7484 0.3738 O
0.6018 0.6043 0.0196 O
0.6040 0.1049 0.0198 O
0.6044 0.1052 0.7305 O
0.6037 0.6060 0.2290 O
0.6051 0.1049 0.2298 O
0.6055 0.1052 0.5198 O
0.6056 0.6073 0.7372 O
0.6074 0.6091 0.5144 O
0.6422 0.8602 0.7351 O
0.6424 0.8608 0.5155 O
0.6432 0.3555 0.2290 O
0.6445 0.3530 0.5185 O
0.6436 0.3550 0.0216 O
0.6449 0.3525 0.7310 O
0.6475 0.8545 0.0196 O
0.6477 0.8551 0.2299 O
0.7117 0.4963 0.8759 O
0.7122 0.9920 0.3743 O
0.7117 0.9917 0.8757 O
0.7215 0.4964 0.3742 O
0.7778 0.5047 0.6252 O
0.7792 0.5121 0.1248 O
0.7872 0.0072 0.6251 O
0.7880 0.0089 0.1248 O
0.8520 0.6478 0.9827 O
0.8526 0.6484 0.2669 O
0.8548 0.6464 0.7690 O
0.8554 0.6470 0.4814 O
0.8574 0.1392 0.2654 O
0.8575 0.1392 0.4844 O
0.8583 0.1395 0.7664 O
0.8582 0.1396 0.9837 O
0.8914 0.3910 0.9853 O
0.8916 0.3911 0.2637 O
0.8924 0.3909 0.4857 O
0.8922 0.3908 0.7654 O
0.8945 0.8949 0.4801 O
0.8946 0.8949 0.7699 O
0.8953 0.8958 0.2706 O
0.8953 0.8958 0.9794 O
0.9620 0.2515 0.6253 O
*/

_Reply_
0.4952 0.0217 0.8750 Ca
0.4962 0.0202 0.3750 Ca
0.5038 0.9798 0.6250 Ca
0.5048 0.9783 0.1250 Ca
0.5055 0.4763 0.1247 Ca
0.7447 0.7281 0.1249 Ca
0.7456 0.2267 0.1248 Ca
0.7459 0.2272 0.6252 Ca
0.7538 0.7723 0.8753 Ca
0.7544 0.7729 0.3747 Ca
0.9965 0.0200 0.3750 Ca
0.9969 0.0204 0.8750 Ca
0.0010 0.2471 0.0008 Mn
0.0011 0.2470 0.7494 Mn
0.0008 0.7528 0.4984 Mn
0.0009 0.7528 0.7518 Mn
0.2503 0.9998 0.2496 Mn
0.2501 0.0001 0.5002 Mn
0.2498 0.0014 0.9994 Mn
0.2496 0.0016 0.7510 Mn
0.2501 0.4999 0.5000 Mn
0.2512 0.4994 0.7514 Mn
0.2516 0.5003 0.2492 Mn
0.2531 0.4997 0.9994 Mn
0.4985 0.2489 0.7503 Mn
0.4985 0.2496 0.0002 Mn
0.4990 0.2474 0.5018 Mn
0.4989 0.2480 0.2477 Mn
0.5011 0.7520 0.7523 Mn
0.5010 0.7526 0.4982 Mn
0.5015 0.7504 0.9998 Mn
0.5015 0.7511 0.2497 Mn
0.7469 0.5003 0.0006 Mn
0.7484 0.4997 0.7508 Mn
0.7488 0.5006 0.2486 Mn
0.7499 0.9999 0.4998 Mn
0.7497 0.0002 0.7504 Mn
0.7499 0.5001 0.5000 Mn
0.7504 0.9984 0.2490 Mn
0.7502 0.9986 0.0006 Mn
0.9991 0.2472 0.2482 Mn
0.9992 0.2472 0.5016 Mn
0.9989 0.7530 0.2506 Mn
0.9990 0.7529 0.9992 Mn
0.0272 0.2391 0.3750 O
0.0370 0.2394 0.8750 O
0.0382 0.7483 0.8753 O
0.0380 0.7485 0.3747 O
0.1047 0.1042 0.0206 O
0.1047 0.1042 0.7294 O
0.1054 0.1051 0.2301 O
0.1055 0.1051 0.5199 O
0.1078 0.6092 0.2346 O
0.1076 0.6091 0.5143 O
0.1084 0.6089 0.7363 O
0.1086 0.6090 0.0147 O
0.1418 0.8604 0.0163 O
0.1417 0.8605 0.2336 O
0.1425 0.8608 0.5156 O
0.1426 0.8608 0.7346 O
0.1446 0.3530 0.5186 O
0.1452 0.3536 0.2310 O
0.1474 0.3516 0.7331 O
0.1480 0.3522 0.0173 O
0.2120 0.9911 0.8752 O
0.2128 0.9928 0.3749 O
0.2208 0.4879 0.8752 O
0.2222 0.4953 0.3748 O
0.2785 0.5036 0.6258 O
0.2883 0.0083 0.1243 O
0.2878 0.0080 0.6257 O
0.2883 0.5037 0.1241 O
0.3523 0.1449 0.7701 O
0.3525 0.1455 0.9804 O
0.3551 0.6475 0.2690 O
0.3564 0.6450 0.9784 O
0.3555 0.6470 0.4815 O
0.3568 0.6445 0.7710 O
0.3576 0.1392 0.4845 O
0.3578 0.1398 0.2649 O
0.3926 0.3909 0.4856 O
0.3944 0.3927 0.2628 O
0.3945 0.8948 0.4802 O
0.3949 0.8951 0.7702 O
0.3963 0.3940 0.7710 O
0.3956 0.8948 0.2695 O
0.3960 0.8951 0.9802 O
0.3982 0.3957 0.9804 O
0.4605 0.2516 0.6262 O
0.4609 0.2591 0.1237 O
0.4706 0.7617 0.1247 O
0.4730 0.7605 0.6253 O
0.5270 0.2395 0.3747 O
0.5294 0.2383 0.8753 O
0.5391 0.7409 0.8763 O
0.5395 0.7484 0.3738 O
0.6018 0.6043 0.0196 O
0.6040 0.1049 0.0198 O
0.6044 0.1052 0.7305 O
0.6037 0.6060 0.2290 O
0.6051 0.1049 0.2298 O
0.6055 0.1052 0.5198 O
0.6056 0.6073 0.7372 O
0.6074 0.6091 0.5144 O
0.6422 0.8602 0.7351 O
0.6424 0.8608 0.5155 O
0.6432 0.3555 0.2290 O
0.6445 0.3530 0.5185 O
0.6436 0.3550 0.0216 O
0.6449 0.3525 0.7310 O
0.6475 0.8545 0.0196 O
0.6477 0.8551 0.2299 O
0.7117 0.4963 0.8759 O
0.7122 0.9920 0.3743 O
0.7117 0.9917 0.8757 O
0.7215 0.4964 0.3742 O
0.7778 0.5047 0.6252 O
0.7792 0.5121 0.1248 O
0.7872 0.0072 0.6251 O
0.7880 0.0089 0.1248 O
0.8520 0.6478 0.9827 O
0.8526 0.6484 0.2669 O
0.8548 0.6464 0.7690 O
0.8554 0.6470 0.4814 O
0.8574 0.1392 0.2654 O
0.8575 0.1392 0.4844 O
0.8583 0.1395 0.7664 O
0.8582 0.1396 0.9837 O
0.8914 0.3910 0.9853 O
0.8916 0.3911 0.2637 O
0.8924 0.3909 0.4857 O
0.8922 0.3908 0.7654 O
0.8945 0.8949 0.4801 O
0.8946 0.8949 0.7699 O
0.8953 0.8958 0.2706 O
0.8953 0.8958 0.9794 O
0.9620 0.2515 0.6253 O